File
- - -
Entry 1:
Computed, not measured: C29H50GeIN3O3Si3Sn as an isolated structure at a distorted geometry, with the ωB97M-V functional and the def2-TZVPD basis.

Its LUMO energy (spin up / spin down) is -9.257 / -10.608 eV. As for the expectation value of S²: 0.769.

The geometry in ORCA input format:
```
! wB97M-V def2-TZVPD RIJCOSX def2/J DEFGRID3
* xyz 3 2
C 3.566 -0.664 -1.829
H -4.021 4.706 1.434
H 6.048 -1.590 3.831
H -5.031 0.683 -0.368
C -0.093 5.390 1.067
C 5.161 0.364 -3.273
H -2.960 -5.828 0.128
H -3.610 1.702 3.645
C 3.009 -1.262 -2.976
C 1.733 3.590 -0.886
C -4.549 0.613 0.621
H -0.663 5.942 0.317
H 1.706 2.712 -1.533
Ge -1.661 2.721 -0.377
H -0.492 -4.616 -1.203
C -3.582 3.722 -2.816
H -0.009 -2.645 3.272
C 3.687 -0.921 0.512
O -0.979 -2.187 -0.363
C 4.532 -0.100 -4.411
H 1.435 1.606 1.647
H 0.796 5.928 1.367
H -2.282 0.874 2.841
H 0.269 2.421 2.716
C -0.955 -5.287 -0.447
H 4.398 -0.980 5.158
O 6.008 -2.228 1.805
C -0.628 3.160 -3.891
N -1.662 -3.612 1.266
C 3.696 -1.094 4.332
C 4.227 -1.142 2.959
I 1.401 -2.655 -2.836
Si 0.410 3.685 0.500
Si -2.085 2.612 -2.810
C -1.870 -2.855 0.203
C 0.126 -1.710 3.849
H -0.816 -5.427 1.778
H 0.349 -4.307 1.065
H -0.198 -1.849 4.860
C 0.989 2.592 1.935
H -5.303 0.277 1.285
H -4.406 3.340 -2.233
C -2.443 0.747 -3.079
H -3.967 3.770 -3.856
H 2.907 -1.303 -5.094
N 2.441 -1.257 4.586
C -0.669 -4.701 0.992
H -5.479 3.761 1.589
C 1.915 -1.032 2.251
C -4.533 3.819 1.014
C 1.522 -1.252 3.622
H -0.418 -6.229 -0.556
H -1.503 0.222 -2.964
H 6.822 -2.704 1.956
C -2.453 -5.467 -0.739
H -0.924 3.245 -4.945
O 1.010 -0.870 1.388
H 0.239 2.487 -3.826
H -2.728 -3.889 -2.224
H -3.430 -2.077 -1.007
H -0.334 4.151 -3.562
H 4.779 -0.971 0.315
H 6.144 -0.336 2.590
H -3.864 -0.230 0.506
C -3.241 -2.925 -0.363
H 2.677 3.602 -0.377
H 5.214 0.636 -1.164
H 4.870 0.247 -5.380
H -3.974 -2.966 0.426
H -2.503 -3.950 1.687
Si -3.564 2.203 1.217
C -2.807 1.822 2.916
H -2.789 0.552 -4.123
C 3.277 -1.017 1.900
C -3.224 -4.206 -1.269
H -4.245 -4.446 -1.535
H 1.764 4.474 -1.508
Sn 0.538 -0.644 -0.797
H -3.453 4.772 -2.496
H -4.818 4.033 -0.019
C 5.718 -1.302 2.828
H -2.103 2.593 3.245
H -0.658 5.333 1.972
H -2.540 -6.211 -1.537
H 5.979 1.075 -3.351
C 3.440 -0.929 -4.253
C 4.701 0.122 -1.995
H 1.809 3.078 2.504
N 2.923 -0.843 -0.534
H -3.175 0.373 -2.386
H -0.541 -1.038 3.294
*
```

Results of the Löwdin charge analysis, in e, for atoms 1 through 6: number 1, C, carries -0.329; number 2, H, carries 0.044; number 3, H, carries 0.137; number 4, H, carries 0.037; number 5, C, carries -0.201; number 6, C, carries -0.043



Entry 2:
Computed, not measured: C21H20N9PtSi as an isolated structure, with the ωB97M-V functional and the def2-TZVPD basis.

Its LUMO energy is -4.270 eV.

The geometry in ORCA input format:
```
! wB97M-V def2-TZVPD RIJCOSX def2/J DEFGRID3
* xyz 1 1
N 0.306 3.225 -2.844
C 1.882 -1.202 0.423
H -4.594 0.718 3.326
N -0.436 1.259 -2.174
C 2.209 0.175 2.389
H -0.860 -1.303 2.443
C -3.568 3.373 -0.161
H 3.655 -0.078 0.827
H -1.731 6.114 0.610
C 0.454 1.134 -3.174
H -0.481 3.470 3.334
Si -0.258 1.589 1.085
H -2.893 0.375 1.576
C -2.340 3.053 4.311
H -2.897 1.743 -1.400
C -1.981 5.153 0.182
C -3.238 4.601 0.393
Pt -0.148 -0.022 -0.540
C 3.095 1.045 3.227
N 0.910 2.340 -3.578
N 0.609 -2.404 -3.895
H -3.967 5.137 0.987
H 3.808 0.424 3.774
N -0.473 2.606 -2.012
N -0.176 -2.799 -1.909
C 2.661 -0.332 1.172
C -2.732 1.122 2.347
H -4.240 2.424 5.076
H -4.550 2.948 -0.002
H -0.067 4.907 -0.786
C -1.561 1.890 2.341
C -2.646 2.685 -0.933
N 0.841 -0.020 -3.735
C -3.492 2.278 4.308
H 3.670 1.733 2.609
C -1.387 3.250 -1.129
C -1.379 2.861 3.330
H 2.522 1.615 3.957
C 0.114 -1.011 2.070
H 0.548 0.233 3.760
C 0.499 -1.277 -3.241
C -3.691 1.314 3.325
C 0.580 -1.571 0.856
H -2.193 3.804 5.076
H 0.084 -2.434 0.421
C 0.917 -0.155 2.819
H 0.878 2.503 1.351
H 1.420 0.028 -4.560
N 0.178 -3.339 -3.019
H 2.298 -1.673 -0.459
C -1.043 4.485 -0.587
N 0.019 -1.466 -2.012
*
```
- - -

Job
Please reproduce the whole of the rows further above verbatim.

Worked solution
Entry 1:
Computed, not measured: C29H50GeIN3O3Si3Sn as an isolated structure at a distorted geometry, with the ωB97M-V functional and the def2-TZVPD basis.

Its LUMO energy (spin up / spin down) is -9.257 / -10.608 eV. As for the expectation value of S²: 0.769.

The geometry in ORCA input format:
```
! wB97M-V def2-TZVPD RIJCOSX def2/J DEFGRID3
* xyz 3 2
C 3.566 -0.664 -1.829
H -4.021 4.706 1.434
H 6.048 -1.590 3.831
H -5.031 0.683 -0.368
C -0.093 5.390 1.067
C 5.161 0.364 -3.273
H -2.960 -5.828 0.128
H -3.610 1.702 3.645
C 3.009 -1.262 -2.976
C 1.733 3.590 -0.886
C -4.549 0.613 0.621
H -0.663 5.942 0.317
H 1.706 2.712 -1.533
Ge -1.661 2.721 -0.377
H -0.492 -4.616 -1.203
C -3.582 3.722 -2.816
H -0.009 -2.645 3.272
C 3.687 -0.921 0.512
O -0.979 -2.187 -0.363
C 4.532 -0.100 -4.411
H 1.435 1.606 1.647
H 0.796 5.928 1.367
H -2.282 0.874 2.841
H 0.269 2.421 2.716
C -0.955 -5.287 -0.447
H 4.398 -0.980 5.158
O 6.008 -2.228 1.805
C -0.628 3.160 -3.891
N -1.662 -3.612 1.266
C 3.696 -1.094 4.332
C 4.227 -1.142 2.959
I 1.401 -2.655 -2.836
Si 0.410 3.685 0.500
Si -2.085 2.612 -2.810
C -1.870 -2.855 0.203
C 0.126 -1.710 3.849
H -0.816 -5.427 1.778
H 0.349 -4.307 1.065
H -0.198 -1.849 4.860
C 0.989 2.592 1.935
H -5.303 0.277 1.285
H -4.406 3.340 -2.233
C -2.443 0.747 -3.079
H -3.967 3.770 -3.856
H 2.907 -1.303 -5.094
N 2.441 -1.257 4.586
C -0.669 -4.701 0.992
H -5.479 3.761 1.589
C 1.915 -1.032 2.251
C -4.533 3.819 1.014
C 1.522 -1.252 3.622
H -0.418 -6.229 -0.556
H -1.503 0.222 -2.964
H 6.822 -2.704 1.956
C -2.453 -5.467 -0.739
H -0.924 3.245 -4.945
O 1.010 -0.870 1.388
H 0.239 2.487 -3.826
H -2.728 -3.889 -2.224
H -3.430 -2.077 -1.007
H -0.334 4.151 -3.562
H 4.779 -0.971 0.315
H 6.144 -0.336 2.590
H -3.864 -0.230 0.506
C -3.241 -2.925 -0.363
H 2.677 3.602 -0.377
H 5.214 0.636 -1.164
H 4.870 0.247 -5.380
H -3.974 -2.966 0.426
H -2.503 -3.950 1.687
Si -3.564 2.203 1.217
C -2.807 1.822 2.916
H -2.789 0.552 -4.123
C 3.277 -1.017 1.900
C -3.224 -4.206 -1.269
H -4.245 -4.446 -1.535
H 1.764 4.474 -1.508
Sn 0.538 -0.644 -0.797
H -3.453 4.772 -2.496
H -4.818 4.033 -0.019
C 5.718 -1.302 2.828
H -2.103 2.593 3.245
H -0.658 5.333 1.972
H -2.540 -6.211 -1.537
H 5.979 1.075 -3.351
C 3.440 -0.929 -4.253
C 4.701 0.122 -1.995
H 1.809 3.078 2.504
N 2.923 -0.843 -0.534
H -3.175 0.373 -2.386
H -0.541 -1.038 3.294
*
```

Results of the Löwdin charge analysis, in e, for atoms 1 through 6: number 1, C, carries -0.329; number 2, H, carries 0.044; number 3, H, carries 0.137; number 4, H, carries 0.037; number 5, C, carries -0.201; number 6, C, carries -0.043



Entry 2:
Computed, not measured: C21H20N9PtSi as an isolated structure, with the ωB97M-V functional and the def2-TZVPD basis.

Its LUMO energy is -4.270 eV.

The geometry in ORCA input format:
```
! wB97M-V def2-TZVPD RIJCOSX def2/J DEFGRID3
* xyz 1 1
N 0.306 3.225 -2.844
C 1.882 -1.202 0.423
H -4.594 0.718 3.326
N -0.436 1.259 -2.174
C 2.209 0.175 2.389
H -0.860 -1.303 2.443
C -3.568 3.373 -0.161
H 3.655 -0.078 0.827
H -1.731 6.114 0.610
C 0.454 1.134 -3.174
H -0.481 3.470 3.334
Si -0.258 1.589 1.085
H -2.893 0.375 1.576
C -2.340 3.053 4.311
H -2.897 1.743 -1.400
C -1.981 5.153 0.182
C -3.238 4.601 0.393
Pt -0.148 -0.022 -0.540
C 3.095 1.045 3.227
N 0.910 2.340 -3.578
N 0.609 -2.404 -3.895
H -3.967 5.137 0.987
H 3.808 0.424 3.774
N -0.473 2.606 -2.012
N -0.176 -2.799 -1.909
C 2.661 -0.332 1.172
C -2.732 1.122 2.347
H -4.240 2.424 5.076
H -4.550 2.948 -0.002
H -0.067 4.907 -0.786
C -1.561 1.890 2.341
C -2.646 2.685 -0.933
N 0.841 -0.020 -3.735
C -3.492 2.278 4.308
H 3.670 1.733 2.609
C -1.387 3.250 -1.129
C -1.379 2.861 3.330
H 2.522 1.615 3.957
C 0.114 -1.011 2.070
H 0.548 0.233 3.760
C 0.499 -1.277 -3.241
C -3.691 1.314 3.325
C 0.580 -1.571 0.856
H -2.193 3.804 5.076
H 0.084 -2.434 0.421
C 0.917 -0.155 2.819
H 0.878 2.503 1.351
H 1.420 0.028 -4.560
N 0.178 -3.339 -3.019
H 2.298 -1.673 -0.459
C -1.043 4.485 -0.587
N 0.019 -1.466 -2.012
*
```